Add Collateral cbBTC to WETH Market on Base and Mainnet
With the upcoming launch of cbBTC as an Ethereum-compatible version of the Bitcoin, the Compound Growth Program recommends listing cbBTC to ETH markets on Mainnet and Base chains. This recommendation was made after conversations with sources directly connected to cbBTC token.
Type: Collateral Addition to Mainnet and Base
Authors: sharp
One of the leading BTC assets on Ethereum is under spotlight due to their recent partnerships. Multiple alternative, Ethereum Friendly BTC assets have been floated. Compound Growth team is in talks to collaborate with most of the assets. Coinbase recently announced its intentions for cbBTC. Anticipating the possibility of high demand of cbBTC, the Compound Growth Program proposes the addition of cbBTC as a collateral on Mainnet and Base ETH markets.
____________
Entry 1:
Density functional theory data (the ωB97M-V functional and the def2-TZVPD basis) for 8 unconnected molecules or ions with the total composition C23H38Cl4N4O3.

Orbital gap: 7.57 eV
HOMO: -8.00 eV
Total charge: 0
Strongest force on any atom: 4.7 eV/A
SMILES: ClC(Cl)(Cl)Cl.c1cc[nH]c1.c1cc[nH]c1.c1cc[nH]c1.c1cc[nH]c1.CCO.CCO.CCO
Calculated total energy: -3184.50885 Ha

Each line ends with the Löwdin charge.
Positions of all 72 atoms, in Å:
N  16.13730  -13.10681  27.66738  0.00
C  15.84053  -14.38962  27.29437  -0.14
C  14.55446  -14.40669  26.79234  -0.10
C  14.21230  -13.04090  26.68075  -0.15
C  15.11165  -12.27494  27.31961  -0.15
H  16.98658  -12.83919  28.14405  0.15
H  16.50376  -15.21451  27.50901  0.10
H  13.94427  -15.20754  26.40157  0.09
H  13.28650  -12.66766  26.26846  0.09
H  15.07203  -11.21049  27.49789  0.11
N  14.03273  -3.70712  27.09719  0.01
C  14.79884  -3.40751  28.14650  -0.17
C  14.38027  -2.21769  28.76105  -0.12
C  13.44889  -1.62906  27.92689  -0.12
C  13.16977  -2.59716  26.95920  -0.13
H  14.07798  -4.53624  26.52220  0.15
H  15.61211  -4.09864  28.31181  0.10
H  14.80458  -1.76510  29.64509  0.09
H  13.08570  -0.61382  27.98832  0.10
H  12.61313  -2.55075  26.03486  0.09
N  17.71169  0.31126  22.19536  0.01
C  16.46940  0.02614  22.64913  -0.17
C  15.69982  1.14119  22.63411  -0.14
C  16.45018  2.17730  22.09001  -0.11
C  17.72945  1.66513  21.93769  -0.14
H  18.50406  -0.31219  22.13567  0.15
H  16.21023  -0.96430  22.99303  0.11
H  14.69560  1.30537  22.99601  0.10
H  16.13346  3.19053  21.89143  0.09
H  18.64758  2.10325  21.57504  0.10
N  15.53408  -9.99764  11.76779  0.01
C  14.22471  -10.41159  11.97992  -0.19
C  13.93897  -10.80040  13.22065  -0.12
C  15.20522  -10.77802  13.81892  -0.12
C  16.19645  -10.22783  12.94782  -0.11
H  15.93711  -9.39671  11.06313  0.15
H  13.52253  -10.23767  11.17799  0.10
H  12.96810  -11.17332  13.51176  0.10
H  15.27987  -11.00292  14.87260  0.08
H  17.22203  -9.91693  13.08180  0.10
C  14.91877  -7.37497  21.26284  -1.88
Cl  16.37118  -7.12691  22.30393  0.50
Cl  14.03967  -8.93555  21.69088  0.45
Cl  13.66635  -6.09109  21.58294  0.46
Cl  15.35742  -7.46275  19.47997  0.47
C  9.93372  -14.18484  20.13826  -0.09
C  8.82531  -15.25150  20.13826  -0.32
O  8.73745  -15.90337  18.86848  -0.08
H  10.86499  -14.72462  19.96663  0.07
H  10.14198  -13.71520  21.09960  0.07
H  9.80919  -13.35680  19.44045  0.07
H  7.85441  -14.77703  20.28082  0.10
H  8.94289  -15.88492  21.01750  0.10
H  9.55404  -16.40084  18.78306  0.07
C  18.87966  -13.28431  21.87315  -0.07
C  19.21408  -14.60030  22.65788  -0.34
O  20.13738  -14.37362  23.68845  -0.08
H  18.24420  -13.60376  21.04718  0.07
H  19.83060  -12.97674  21.43817  0.06
H  18.54074  -12.46295  22.50451  0.07
H  19.64149  -15.38653  22.03557  0.10
H  18.28843  -15.08360  22.97047  0.10
H  20.23523  -15.20456  24.15917  0.08
C  13.98521  -1.12439  16.92899  -0.10
C  15.17689  -2.01327  16.56293  -0.32
____________
Important note: cbBTC is not yet launched, the estimated date of launch is TBD. But Coinbase has offered Compound a day 1 launch partnership and co-marketing. While cbBTC is being treated as a warm lead, with the growth program working to give some prelaunch work, many of the factors affecting the launch are yet to be determined.
Firstly, the on-chain proposal for integrating the collateral will be launched only after cbBTC is launched on-chain. Secondly, we are also working to increase the collateral limits on the Mainnet ETH market, which is also a variable in this integration. Final details will be discussed at the time of launch, but as competitors may also be in the race to capture bigger share of the asset, we’re making preparations beforehand.
Next Steps
We invite the community to give their feedback and recommendations for the asset. Once the recommendations are provided, we will proceed to coding part of the integration.
[Gauntlet] - cbBTC Risk Recommendations for Mainnet WETH/USDT/USDC and Base USDC/WETH Comets
If the community wishes to add the assets cbBTC to following Comets, Gauntlet recommends the following risk parameters:
USDC Comet on Ethereum
Supply Cap
Collateral Factor
Liquidation Factor
Liquidation Penalty
USDT Comet on Ethereum
Supply Cap
Collateral Factor
Liquidation Factor
Liquidation Penalty
WETH Comet on Ethereum
Supply Cap
Collateral Factor
Liquidation Factor
Liquidation Penalty
USDC Comet on Base
Supply Cap
Collateral Factor
Liquidation Factor
Liquidation Penalty
WETH Comet on Base
Supply Cap
Collateral Factor
Liquidation Factor
Liquidation Penalty
Given the anticipation of cbBTC’s launch, Gauntlet would like to provide risk recommendations if the community wishes to onboard the asset. Although there are no prevailing market data pertaining to cbBTC, given it’s mirroring nature to WBTC, Gauntlet can recommend parameters based on WBTC’s precedence.
Supply Caps
Gauntlet proposes a $5M cap across Mainnet instances, targeting an initial TVL equilibrium of $50M. Setting caps at 10% of the projected TVL strategically positions Compound to maximize potential upside while managing risks effectively. Historical data from Coinbase assets show substantial liquidity for cbETH on Mainnet, suggesting potential robust support for cbBTC as well. Gauntlet will continue to closely monitor the market dynamics and adjust the supply caps as necessary to align with evolving conditions.
For Base instance we recommend setting the supply cap at $2.5M, half of the value set for Mainnet
Liquidation Factor, Collateral Factor and Liquidation Penalty
Due to the similarity in the nature of assets, we recommend aligning cbBTC’s CF, LF and LP to that of WBTC on that Comet. For Base, although there is no precedence, we recommend setting the same LF, CF and LP as those set in the Mainnet Comets. We therefore recommend a CF of 80%, LF of 85% and an LP of 5%.
Add cbBTC as collateral into cUSDCv3 on Ethereum\n\n
Proposal summary\n\n
Compound Growth Program [AlphaGrowth] proposes to add cbBTC into cUSDCv3 on Ethereum network. This proposal takes the governance steps recommended and necessary to update a Compound III USDC market on Ethereum. Simulations have confirmed the market’s readiness, as much as possible, using the Comet scenario suite. The new parameters include setting the risk parameters based off of the recommendations from Gauntlet.\n\n
Add cbBTC as collateral into cUSDTv3 on Ethereum\n\n
Proposal summary\n\n
Compound Growth Program [AlphaGrowth] proposes to add cbBTC into cUSDTv3 on Ethereum network. This proposal takes the governance steps recommended and necessary to update a Compound III USDT market on Ethereum. Simulations have confirmed the market’s readiness, as much as possible, using the Comet scenario suite. The new parameters include setting the risk parameters based off of the recommendations from Gauntlet.\n\n
Add cbBTC as collateral into cWETHv3 on Ethereum\n\n
Proposal summary\n\n
Compound Growth Program [AlphaGrowth] proposes to add cbBTC into cWETHv3 on Ethereum network. This proposal takes the governance steps recommended and necessary to update a Compound III WETH market on Ethereum. Simulations have confirmed the market’s readiness, as much as possible, using the Comet scenario suite. The new parameters include setting the risk parameters based off of the recommendations from Gauntlet.\n\n
Compound Growth Program [AlphaGrowth] proposes to add cbBTC into cUSDCv3 on Base network. This proposal takes the governance steps recommended and necessary to update a Compound III USDC market on Base. Simulations have confirmed the market’s readiness, as much as possible, using the Comet scenario suite. The new parameters include setting the risk parameters based off of the recommendations from Gauntlet.\n\n
The first proposal action adds cbBTC to the USDC Comet on Base. This sends the encoded addAsset and deployAndUpgradeTo calls across the bridge to the governance receiver on Base.
# Molecular data that have nothing to do with the text
Density functional theory data (the ωB97M-V functional and the def2-TZVPD basis) for a molecular structure, C13H27CuNSi2.

Structure (XYZ):
```
44
C13H27CuNSi2 the ωB97M-V functional and the def2-TZVPD basis
H -0.81159 -3.78786 -1.83704
H -3.09117 -0.14228 -1.05135
C 0.45634 -3.29402 2.37072
H 1.26187 -2.05160 3.94926
H 0.48674 -4.22125 2.91167
H 3.11442 -0.86500 0.29553
N -0.03265 -2.19057 0.32487
H -2.37065 -3.09317 -1.23780
C 3.05780 -0.27458 -0.62841
H -1.43000 2.43644 -1.93087
C -1.51855 -2.95686 -1.91913
Si -1.43154 1.19548 0.24184
H -3.86538 0.87840 0.19138
Si 1.67313 0.98061 -0.55580
H 0.97588 0.06809 2.59388
C 0.05986 0.09498 -0.12448
H -3.05147 -0.63769 0.65616
H 2.89971 -0.97028 -1.46265
H -0.89484 -0.02377 -2.81816
H -0.42675 -0.58923 -3.12303
C -3.00440 0.22548 -0.02117
H 2.53134 2.17971 -2.50707
C 0.26471 -1.00242 0.86912
C 0.72926 -0.91887 2.19649
H 4.02834 0.22130 -0.77472
H 2.31743 1.80353 1.72746
H -1.81637 -2.81866 -2.96137
Cu -0.55381 -1.29863 -1.55282
C -1.44953 2.71134 -0.86967
C 0.01888 -3.30978 1.04390
C 1.53256 1.82583 -2.21401
H 3.01515 2.78509 0.42491
H 0.85493 2.68627 -2.21192
H -1.42717 0.96478 2.73042
H -2.39118 3.24837 -0.67786
H -0.29843 -4.22426 0.55504
C 2.10098 2.26397 0.75221
C 0.86951 -2.08929 2.93573
C -1.41177 1.80254 2.02032
H -0.54164 2.43016 2.25172
H -2.31664 2.40489 2.19115
H 1.19072 1.12033 -2.97739
H 1.32004 3.02309 0.90073
H -0.62411 3.40939 -0.67778
```

Calculated values
⟨S²⟩: 0.754
DFT total energy in Ha: -2785.71096
Spin multiplicity: 2

Mulliken analysis output, partial charges in e: atom 1 (H): 0.23, atom 2 (H): 0.29, atom 3 (C): -0.70, atom 4 (H): 0.43, atom 5 (H): 0.44, atom 6 (H): 0.31, atom 7 (N): -0.18, atom 8 (H): 0.26, atom 9 (C): -1.13, atom 10 (H): 0.30, atom 11 (C): -0.82, atom 12 (Si): 0.03, atom 13 (H): 0.37, atom 14 (Si): 0.00, atom 15 (H): 0.36, atom 16 (C): 3.04, atom 17 (H): 0.30, atom 18 (H): 0.27, atom 19 (H): -0.23, atom 20 (H): 0.25, atom 21 (C): -1.12, atom 22 (H): 0.39, atom 23 (C): -1.38, atom 24 (C): -0.45, atom 25 (H): 0.39, atom 26 (H): 0.27, atom 27 (H): 0.40, atom 28 (Cu): -0.67, atom 29 (C): -1.02, atom 30 (C): -0.12, atom 31 (C): -1.00, atom 32 (H): 0.42, atom 33 (H): 0.29, atom 34 (H): 0.33, atom 35 (H): 0.38, atom 36 (H): 0.36, atom 37 (C): -1.01, atom 38 (C): -0.68, atom 39 (C): -1.07, atom 40 (H): 0.29, atom 41 (H): 0.38, atom 42 (H): 0.23, atom 43 (H): 0.28, atom 44 (H): 0.30

***

Density functional theory data (the ωB97M-V functional and the def2-TZVPD basis) for 2 unconnected molecules or ions with the total composition C6H12N2.

Structure (XYZ):
```
20
C6H12N2 the ωB97M-V functional and the def2-TZVPD basis
H -0.40204 -1.96888 -0.31766
N 0.35793 2.15886 0.85852
H -1.08251 -2.90931 -1.80683
C 0.73111 0.92164 1.33630
H 2.20585 1.07117 -1.50790
H -0.24470 -0.59652 2.54906
C -1.13405 -2.07140 -1.12519
C 0.31826 0.32712 2.65933
H 0.85455 3.12914 -0.90130
H -0.35165 1.07558 3.09010
C -1.59459 -0.76890 -1.79832
C 1.58972 0.31528 0.45511
Compound Growth Program [AlphaGrowth] proposes to add cbBTC into cWETHv3 on Base network. This proposal takes the governance steps recommended and necessary to update a Compound III WETH market on Base. Simulations have confirmed the market’s readiness, as much as possible, using the Comet scenario suite. The new parameters include setting the risk parameters based off of the recommendations from Gauntlet.\n\n
Molecular data from another source follow.
# 1
DFT (the ωB97M-V functional and the def2-TZVPD basis) results for C28H38I2N9O4Pm as an isolated structure at a distorted geometry.

## Properties
frontier orbital gap (alpha / beta) = 5.70 / 5.71 eV
charge = +2
2S+1 = 5

Cartesian coordinates (Å):
Pm  -19.19  7.00  1.84
N  -19.60  5.67  -0.40
C  -20.95  5.63  -1.00
C  -22.01  5.96  0.05
N  -21.71  7.18  0.85
C  -22.70  7.49  1.89
C  -22.47  6.57  3.10
N  -21.13  6.82  3.70
H  -19.27  4.70  -0.34
H  -18.90  6.07  -1.06
H  -21.04  6.39  -1.78
H  -21.12  4.61  -1.41
H  -22.97  6.16  -0.41
H  -22.06  5.08  0.72
H  -21.67  7.96  0.22
H  -22.51  8.54  2.20
H  -23.73  7.45  1.47
H  -23.26  6.80  3.83
H  -22.50  5.53  2.78
H  -21.12  7.75  4.12
H  -20.95  6.15  4.42
O  -14.47  11.36  2.95
C  -15.33  12.07  3.47
O  -15.38  13.27  3.79
C  -16.64  11.29  3.69
C  -16.67  10.11  4.41
C  -17.67  9.15  4.15
N  -18.54  9.34  3.10
C  -18.71  10.61  2.63
C  -17.78  11.62  2.94
C  -19.90  10.91  1.88
C  -20.40  12.22  1.83
C  -21.37  12.52  0.88
C  -21.78  11.57  -0.05
C  -21.19  10.31  0.06
N  -20.45  9.94  1.08
C  -17.75  7.93  4.94
C  -17.20  7.89  6.23
C  -17.10  6.63  6.85
C  -17.54  5.48  6.19
C  -17.92  5.63  4.86
N  -18.07  6.81  4.27
H  -15.75  9.84  5.00
H  -17.84  12.61  2.51
H  -20.07  12.99  2.48
H  -21.81  13.54  0.87
H  -22.51  11.68  -0.85
H  -21.37  9.56  -0.69
H  -16.91  8.79  6.72
H  -16.68  6.52  7.87
H  -17.45  4.53  6.66
H  -18.16  4.77  4.25
I  -16.76  4.40  1.20
C  -18.02  2.67  1.69
I  -20.10  3.14  2.07
H  -17.62  2.25  2.60
H  -18.00  1.92  0.92
C  -12.55  8.47  2.97
C  -13.95  7.93  2.87
O  -14.97  8.83  2.35
H  -12.03  7.82  3.76
H  -12.50  9.47  3.39
H  -12.06  8.43  1.97
H  -14.32  7.55  3.82
H  -13.98  7.11  2.11
H  -14.62  9.76  2.47
C  -16.20  10.11  -0.23
N  -16.53  9.09  -1.21
C  -15.88  9.11  -2.43
C  -16.11  8.20  -3.43
C  -16.94  7.12  -3.04
N  -17.56  7.10  -1.84
C  -17.35  8.03  -0.92
O  -17.80  7.89  0.27
N  -17.15  6.10  -3.87
H  -16.98  10.15  0.48
H  -16.11  11.07  -0.77
H  -15.28  9.85  0.33
H  -15.09  9.83  -2.51
H  -15.65  8.31  -4.44
H  -16.78  6.04  -4.83
H  -17.84  5.40  -3.58

Just the Löwdin charges please, in e? Sure, here they are:
1 Pm 1.630
2 N -0.133
3 C -0.215
4 C -0.204
5 N -0.162
6 C -0.194
7 C -0.212
8 N -0.057
9 H -0.008
10 H 0.019
11 H 0.120
12 H 0.136
13 H 0.126
14 H 0.067
15 H 0.053
16 H 0.120
17 H 0.144
18 H 0.135
19 H 0.087
20 H 0.090
21 H 0.076
22 O 0.013
23 C -0.666
24 O 0.029
25 C -0.068
26 C 0.057
27 C -0.202
28 N 0.062
29 C -0.225
30 C 0.081
31 C -0.204
32 C 0.014
33 C -0.026
34 C -0.021
35 C -0.163
36 N 0.079
37 C -0.217
38 C 0.032
39 C -0.002
40 C -0.019
41 C -0.163
42 N -0.014
43 H 0.161
44 H 0.132
45 H 0.118
46 H 0.135
47 H 0.116
48 H 0.100
49 H 0.122
50 H 0.137
51 H 0.109
52 H 0.059
53 I 0.860
54 C -1.001
55 I 0.844
56 H -0.027
57 H -0.028
58 C -0.079
59 C -0.316
60 O -0.165
61 H 0.100
62 H 0.072
63 H 0.089
64 H 0.092
65 H 0.103
66 H 0.031
67 C 0.021
68 N -0.011
69 C 0.025
70 C 0.033
71 C -0.345
72 N 0.160
73 C -0.450
74 O -0.239
The first proposal action adds cbBTC to the WETH Comet on Base. This sends the encoded addAsset and deployAndUpgradeTo calls across the bridge to the governance receiver on Base.